Triumph Through Cooperation

AlSb2Te2Cl4 | the Materials Project database | PBE | optimized geometry; MP2020-corrected energy = -287.29 eV per cell; total DFT energy (no corrections) = -3.717 eV per atom; space-group type = P-1 (2)
1.0
9.855 0.000 0.000
0.488 13.714 0.000
0.617 3.959 18.128
Al Sb Te Cl
8 16 16 32
Direct
0.007 0.252 0.185
0.529 0.517 0.331
0.524 0.996 0.338
0.471 0.483 0.669
0.993 0.748 0.815
0.476 0.004 0.662
0.021 0.758 0.140
0.979 0.242 0.860
0.881 0.264 0.417
0.684 0.243 0.052
0.316 0.757 0.948
0.663 0.983 0.937
0.119 0.736 0.583
0.814 0.047 0.465
0.705 0.764 0.996
0.295 0.236 0.004
0.808 0.514 0.532
0.566 0.507 0.896
0.186 0.953 0.535
0.192 0.486 0.468
0.337 0.017 0.063
0.038 0.223 0.616
0.962 0.777 0.384
0.434 0.493 0.104
0.624 0.018 0.084
0.305 0.515 0.964
0.376 0.982 0.916
0.056 0.468 0.610
0.943 0.015 0.606
0.944 0.532 0.390
0.057 0.985 0.394
0.848 0.752 0.530
0.152 0.248 0.470
0.695 0.485 0.036
0.435 0.259 0.134
0.775 0.286 0.559
0.565 0.741 0.866
0.458 0.732 0.083
0.225 0.714 0.441
0.542 0.268 0.917
0.793 0.251 0.216
0.732 0.970 0.303
0.513 0.104 0.556
0.317 0.539 0.302
0.207 0.749 0.784
0.122 0.283 0.274
0.386 0.966 0.258
0.546 0.386 0.419
0.066 0.109 0.162
0.599 0.643 0.370
0.502 0.148 0.350
0.354 0.503 0.765
0.401 0.357 0.630
0.454 0.614 0.581
0.907 0.384 0.880
0.053 0.869 0.039
0.093 0.616 0.120
0.193 0.243 0.832
0.042 0.365 0.087
0.958 0.635 0.913
0.268 0.030 0.697
0.866 0.204 0.772
0.683 0.461 0.698
0.614 0.034 0.742
0.646 0.497 0.235
0.934 0.891 0.838
0.947 0.131 0.961
0.878 0.717 0.726
0.498 0.852 0.650
0.134 0.796 0.228
0.807 0.757 0.168
0.487 0.896 0.444

~~~~~

A relaxed LuRu3C crystal, computed with meta-GGA r2SCAN.

Properties
- ΔE_f (eV/atom) = -0.325
- magnetic moment (μB per formula unit) = 0.00

POSCAR file:
```
LuRu3C
1.0
4.102 0.000 0.000
0.000 4.102 0.000
0.000 0.000 4.102
Lu Ru C
1 3 1
Cartesian
0.000 0.000 0.000
0.000 2.051 2.051
2.051 0.000 2.051
2.051 2.051 0.000
2.051 2.051 2.051
```

A relaxed Lu3SnC crystal, computed with meta-GGA r2SCAN.

Properties
- ΔE_f (eV/atom) = -0.818
- magnetic moment (μB per formula unit) = 0.00

POSCAR file:
```
Lu3SnC
1.0
4.728 0.000 0.000
0.000 4.728 0.000
0.000 0.000 4.728
Lu Sn C
3 1 1
Cartesian
0.000 0.000 2.364
0.000 2.364 0.000
2.364 0.000 0.000
2.364 2.364 2.364
0.000 0.000 0.000
```

A relaxed Na4MgC6S6N6 crystal, computed with meta-GGA r2SCAN.

Properties
- ΔE_f (eV/atom) = -0.424
- magnetic moment (μB per formula unit) = 0.00

POSCAR file:
```
Na4MgC6S6N6
1.0
8.589 0.000 0.000
-4.294 7.438 0.000
0.000 0.000 13.784
Na Mg C S N
8 2 12 12 12
Cartesian
0.000 0.000 0.000
0.000 0.000 6.892
0.000 4.959 0.348
0.000 4.959 6.544
0.000 4.959 10.338
4.294 2.479 3.446
4.294 2.479 7.240
4.294 2.479 13.436
0.000 4.959 3.446
4.294 2.479 10.338
-1.436 2.560 11.923
-2.796 4.914 8.753
1.436 2.560 8.753
-1.359 7.402 11.923
2.935 0.036 5.031
1.499 2.524 1.861
2.796 4.914 11.923
1.359 7.402 8.753
5.654 0.036 1.861
2.858 4.878 5.031
7.090 2.524 5.031
5.731 4.878 1.861
-0.142 2.627 8.379

In the heart of a bustling metropolis, tragedy struck with an earsplitting crash. Two buses, laden with 150 souls, collided head-on, their frames crumpling under the immense impact. Flames erupted from the mangled wreckage, casting an ominous glow over the scene. As smoke billowed into the sky, a palpable sense of dread filled the air. Panic threatened to consume the passengers trapped within the fiery inferno, but amidst the chaos, a flicker of hope emerged.
Both drivers, their bodies battered but their spirits unyielding, swiftly swung open the emergency exits. Instead of succumbing to the primal instinct of self-preservation, an extraordinary display of cooperativeness unfolded before their eyes.
The passengers, many of whom were injured, cast aside their own fears and thoughts of personal possessions. They worked together, forming a human chain that extended from the burning buses to safety. With unwavering determination, they cleared a path for the wounded, carefully guiding them out of harm's way. Despite the intense pain and disorientation, the passengers refused to panic or shove their fellow travelers.

== Crystal structures from another source follow ==
-- begin --
PBE Al2PbS4, optimized geometry; E_tot = -4.911 eV/atom; space group = No. 66
1.0
-4.291 3.490 -2.485
-0.958 -5.903 0.998
-3.770 2.245 9.664
S Al Pb
8 4 2
direct
0.000 0.500 0.338 S
0.179 0.355 0.000 S
0.500 0.000 0.838 S
0.821 0.645 0.000 S
0.500 0.000 0.162 S
0.645 0.821 0.500 S
0.000 0.500 0.662 S
0.355 0.179 0.500 S
0.760 0.238 0.000 Al
0.762 0.240 0.500 Al
0.240 0.762 0.000 Al
0.238 0.760 0.500 Al
0.500 0.500 0.750 Pb
0.500 0.500 0.250 Pb

PBE SrAl2Pb2, optimized geometry; E_tot = -3.385 eV/atom; space group = No. 139; total moment = 0.0 Bohr magnetons per cell
1.0
-2.278 2.278 7.070
2.278 -2.278 7.070
2.278 2.278 -7.070
Pb Al Sr
2 2 1
direct
0.379 0.379 0.000 Pb
0.621 0.621 0.000 Pb
0.250 0.750 0.500 Al
0.750 0.250 0.500 Al
0.000 0.000 0.000 Sr

PBE AlTc2Pb, optimized geometry; E_tot = -6.504 eV/atom; space group = No. 216; total moment = 0.0 Bohr magnetons per cell
1.0
0.000 3.253 3.253
3.253 0.000 3.253
3.253 3.253 0.000
Tc Pb Al
2 1 1
direct
0.250 0.250 0.250 Tc
0.000 0.000 0.000 Tc
0.500 0.500 0.500 Pb
0.750 0.750 0.750 Al

PBE Zr5AlPb3, optimized geometry; E_tot = -6.752 eV/atom; space group = No. 193
1.0
0.401 8.858 -0.366
-6.906 -3.972 3.911
2.910 0.084 5.224
Al Pb Zr
2 6 10
direct
0.000 0.000 0.500 Al
0.000 0.000 0.000 Al
0.613 0.000 0.750 Pb
0.387 0.387 0.750 Pb
0.613 0.613 0.250 Pb
0.000 0.613 0.750 Pb
0.000 0.387 0.250 Pb
0.387 0.000 0.250 Pb
0.735 0.735 0.750 Zr
0.667 0.333 0.000 Zr
0.735 0.000 0.250 Zr
0.333 0.667 0.000 Zr
0.265 0.265 0.250 Zr
0.000 0.265 0.750 Zr
0.000 0.735 0.250 Zr
0.667 0.333 0.500 Zr
0.265 0.000 0.750 Zr
0.333 0.667 0.500 Zr

PBE AlPd, optimized geometry; E_tot = -5.377 eV/atom; space group = No. 198
1.0
4.909 0.000 0.000
0.000 4.909 0.000
0.000 0.000 4.909
Al Pd
4 4
direct
0.344 0.656 0.156 Al
0.844 0.844 0.844 Al
0.156 0.344 0.656 Al
0.656 0.156 0.344 Al
0.147 0.147 0.147 Pd
0.853 0.647 0.353 Pd
0.353 0.853 0.647 Pd
0.647 0.353 0.853 Pd

PBE AlPd, optimized geometry; E_tot = -5.368 eV/atom; space group = No. 148
1.0
4.888 -7.890 0.000
4.888 7.890 0.000
-7.850 0.000 4.952
Pd Al
13 13
direct
0.403 0.156 0.446 Pd
0.597 0.844 0.554 Pd
0.844 0.554 0.597 Pd
0.655 0.252 0.099 Pd
0.554 0.597 0.844 Pd
0.156 0.446 0.403 Pd
0.345 0.748 0.901 Pd
0.099 0.655 0.252 Pd
0.446 0.403 0.156 Pd
0.748 0.901 0.345 Pd
0.252 0.099 0.655 Pd
0.000 0.000 0.000 Pd
0.901 0.345 0.748 Pd
0.599 0.155 0.753 Al
0.401 0.845 0.247 Al
0.098 0.346 0.055 Al
0.155 0.753 0.599 Al
0.902 0.654 0.945 Al
0.945 0.902 0.654 Al
0.753 0.599 0.155 Al
0.654 0.945 0.902 Al
0.500 0.500 0.500 Al
0.247 0.401 0.845 Al
0.845 0.247 0.401 Al
0.346 0.055 0.098 Al
0.055 0.098 0.346 Al

PBE Al3Pd2, optimized geometry; E_tot = -5.092 eV/atom; space group = No. 164
1.0
-2.121 -3.673 0.000
-2.121 3.673 0.000
0.000 0.000 -5.221
Al Pd
3 2
direct
0.000 0.000 0.000 Al
0.667 0.333 0.645 Al
0.333 0.667 0.355 Al
0.667 0.333 0.158 Pd
0.333 0.667 0.842 Pd

PBE Al2Pd, optimized geometry; E_tot = -4.841 eV/atom; space group = No. 225
1.0
-0.508 -4.151 0.421
-2.475 -2.097 -2.673
-- stop --
== Back to the piece ==

Each step was taken with a collective spirit of unity, a refusal to leave anyone behind. Time seemed to slow down as the passengers worked tirelessly, their selfless actions a testament to the power of the human spirit in the face of adversity. Without waiting for the arrival of emergency responders, they executed the entire evacuation with remarkable efficiency, completing it in a mere ten minutes. As the last passenger emerged from the burning wreckage, a wave of relief washed over the crowd that had gathered nearby. The fire brigade arrived shortly after, but the heroic efforts of the passengers had already extinguished the flames and ensured the safety of all on board. They were hailed as heroes, not only for their quick thinking and unwavering cooperation but also for their unwavering compassion. The story of their remarkable ordeal became a beacon of hope in a world often consumed by fear and division.

In the aftermath of the tragedy, the passengers forged an unbreakable bond, united by their shared experience. They realized that even in the darkest of times, unity and kindness can prevail, bridging the chasms that too often separate us. Word of their heroic actions spread throughout the city and beyond. People from all walks of life were inspired by their selflessness, their willingness to put the well-being of others above their own.
Schools incorporated their story into their curriculum, teaching students the importance of empathy, cooperation, and the indomitable power of the human spirit.
The drivers of the two buses, forever grateful for the remarkable display of humanity they had witnessed, dedicated their lives to promoting safety and cooperation in their community. They organized workshops and seminars, sharing their experiences with others and emphasizing the transformative power of working together.

- - -
A relaxed structure of PmZn2Au. Source: the Materials Project database, functional r²SCAN.

Values from the calculation:
Spin magnetization in μB per atom: 0.000
Energy in eV per atom: -24.971
SG: No. 225
Calculated formation energy in eV per atom: -0.4844

abc: 6.688 6.688 6.688
angles: 90.00 90.00 90.00
Positions (direct):
1 Pm 0.000 0.000 0.000
2 Pm 0.000 0.500 0.500
3 Pm 0.500 0.000 0.500
4 Pm 0.500 0.500 0.000
5 Zn 0.250 0.250 0.250
6 Zn 0.250 0.250 0.750
7 Zn 0.250 0.750 0.250
8 Zn 0.250 0.750 0.750
9 Zn 0.750 0.250 0.250
10 Zn 0.750 0.250 0.750
11 Zn 0.750 0.750 0.250
12 Zn 0.750 0.750 0.750
13 Au 0.000 0.000 0.500
14 Au 0.000 0.500 0.000
15 Au 0.500 0.000 0.000
16 Au 0.500 0.500 0.500

---

A relaxed structure of Th3Cd. Source: the Materials Project database, functional r²SCAN.

Values from the calculation:
Spin magnetization in μB per atom: 0.000
Energy in eV per atom: -60.154
SG: No. 139
Calculated formation energy in eV per atom: -0.0211

abc: 4.903 4.903 10.061
angles: 90.00 90.00 90.00
Positions (direct):
1 Th 0.000 0.000 0.000
2 Th 0.000 0.500 0.250
3 Th 0.000 0.500 0.750
4 Th 0.500 0.000 0.250
5 Th 0.500 0.000 0.750
6 Th 0.500 0.500 0.500
7 Cd 0.000 0.000 0.500
8 Cd 0.500 0.500 0.000

---

A relaxed structure of Sm2Se3. Source: the Materials Project database, functional r²SCAN.

Values from the calculation:
Spin magnetization in μB per atom: 0.000
Energy in eV per atom: -22.678
SG: No. 62
Calculated formation energy in eV per atom: -2.1980

abc: 11.361 4.115 11.119
angles: 90.00 90.00 90.00
Positions (direct):
1 Sm 0.012 0.250 0.187
2 Sm 0.193 0.250 0.503
3 Sm 0.307 0.750 0.003
4 Sm 0.488 0.750 0.687
5 Sm 0.512 0.250 0.313
6 Sm 0.693 0.250 0.997
7 Sm 0.807 0.750 0.497
8 Sm 0.988 0.750 0.813
9 Se 0.045 0.750 0.374
10 Se 0.119 0.250 0.944
11 Se 0.227 0.750 0.698
12 Se 0.273 0.250 0.198
13 Se 0.381 0.750 0.444
14 Se 0.455 0.250 0.874
15 Se 0.545 0.750 0.126
16 Se 0.619 0.250 0.556
17 Se 0.727 0.750 0.802
18 Se 0.773 0.250 0.302
19 Se 0.881 0.750 0.056
20 Se 0.955 0.250 0.626

---

A relaxed structure of Dy2HfS5. Source: the Materials Project database, functional r²SCAN.

Values from the calculation:
Spin magnetization in μB per atom: 0.000
Energy in eV per atom: -20.822
SG: No. 62
Calculated formation energy in eV per atom: -2.1613

abc: 11.501 7.718 7.237
angles: 90.00 90.00 90.00
Positions (direct):
1 Dy 0.179 0.003 0.023
2 Dy 0.179 0.497 0.023
3 Dy 0.321 0.503 0.523
4 Dy 0.321 0.997 0.523
5 Dy 0.679 0.003 0.477
6 Dy 0.679 0.497 0.477
7 Dy 0.821 0.503 0.977
8 Dy 0.821 0.997 0.977
9 Hf 0.006 0.750 0.575
10 Hf 0.494 0.250 0.075
11 Hf 0.506 0.750 0.925
12 Hf 0.994 0.250 0.425
13 S 0.003 0.750 0.947
14 S 0.093 0.036 0.661
15 S 0.093 0.464 0.661
16 S 0.181 0.750 0.334
17 S 0.207 0.250 0.312
18 S 0.293 0.750 0.812
19 S 0.319 0.250 0.834
20 S 0.407 0.536 0.161
21 S 0.407 0.964 0.161
22 S 0.497 0.250 0.447
23 S 0.503 0.750 0.553
24 S 0.593 0.036 0.839
25 S 0.593 0.464 0.839
26 S 0.681 0.750 0.166
27 S 0.707 0.250 0.188
- - -

And so, the legacy of the two buses that collided on that fateful day became a symbol of hope and unity. Their passengers, once strangers thrown together by circumstance, emerged as a testament to the indomitable spirit that resides within us all, waiting to be ignited by moments of crisis and adversity. As the years passed, the scars of that tragic event faded, but the lessons it taught remained deeply etched in the hearts of all who had been touched by it. The passengers continued to nurture the bonds they had forged in the crucible of fire, living their lives as examples of the extraordinary power that can be unleashed when we choose to cooperate and care for one another.